### Data
'''
[1]
# V3O2F5 (PBE with a Hubbard U, optimized geometry)
# Energy relative to the lowest polymorph listed for this composition   0 meV per atom
# Total magnetic moment   12.00 μB per cell
# Total DFT energy (no corrections)   -134.1 eV for the cell shown
# DFT formation energy   -2.910 eV/atom
# Mass density   2.79 g/cm3
data_V3O2F5
_cell_length_a 6.428
_cell_length_b 7.542
_cell_length_c 8.479
_cell_angle_alpha 116.41
_cell_angle_beta 112.27
_cell_angle_gamma 90.00
_space_group_name_H-M_alt 'P 1'
_space_group_IT_number 1
loop_
_space_group_symop_operation_xyz
'x,y,z'
loop_
_atom_site_label
_atom_site_fract_x
_atom_site_fract_y
_atom_site_fract_z
F1 0.852 0.577 0.703
F2 0.192 0.000 0.000
F3 0.665 0.892 0.331
F4 0.335 0.108 0.669
F5 0.335 0.561 0.669
F6 0.808 0.000 0.000
F7 0.148 0.873 0.297
F8 0.665 0.439 0.331
F9 0.148 0.423 0.297
F10 0.852 0.127 0.703
V1 0.000 0.000 0.500
V2 0.000 0.500 0.500
V3 0.116 0.116 0.232
V4 0.500 0.000 0.500
V5 0.500 0.500 0.500
V6 0.884 0.884 0.768
O1 0.567 0.788 0.576
O2 0.433 0.212 0.424
O3 0.009 0.788 0.576
O4 0.991 0.212 0.424

=====

[2]
# MgFe6O6F6 (PBE with a Hubbard U, optimized geometry)
# Energy relative to the lowest polymorph listed for this composition   35 meV per atom
# Total magnetic moment   28.00 μB per cell
# Total DFT energy (no corrections)   -113.2 eV for the cell shown
# DFT formation energy   -2.109 eV/atom
# Mass density   3.99 g/cm3
data_MgFe6O6F6
_cell_length_a 7.475
_cell_length_b 15.175
_cell_length_c 3.087
_cell_angle_alpha 90.00
_cell_angle_beta 90.00
_cell_angle_gamma 137.37
_space_group_name_H-M_alt 'P 1'
_space_group_IT_number 1
loop_
_space_group_symop_operation_xyz
'x,y,z'
loop_
_atom_site_label
_atom_site_fract_x
_atom_site_fract_y
_atom_site_fract_z
F1 0.697 0.462 0.000
F2 0.680 0.159 0.000
F3 0.151 0.988 0.500
F4 0.805 0.647 0.500
F5 0.867 0.353 0.500
F6 0.679 0.804 0.000
O1 0.263 0.852 0.000
O2 0.183 0.664 0.500
O3 0.850 0.020 0.500
O4 0.329 0.553 0.000
O5 0.190 0.336 0.500
O6 0.365 0.195 0.000
Fe1 0.485 0.932 0.500
Fe2 0.009 0.666 0.000
Fe3 0.427 0.659 0.500
Fe4 0.091 0.367 0.000
Fe5 0.997 0.015 0.000
Fe6 0.442 0.326 0.500
Mg1 0.517 0.167 0.500

=====

[3]
# LiCo3O6 (PBE with a Hubbard U, optimized geometry)
# Energy relative to the lowest polymorph listed for this composition   18 meV per atom
# Total magnetic moment   4.00 μB per cell
# Total DFT energy (no corrections)   -114.9 eV for the cell shown
# DFT formation energy   -1.357 eV/atom
# Mass density   4.43 g/cm3
data_LiCo3O6
_cell_length_a 4.949
_cell_length_b 6.603
_cell_length_c 6.604
_cell_angle_alpha 79.67
_cell_angle_beta 83.29
_cell_angle_gamma 83.28
_space_group_name_H-M_alt 'P 1'
_space_group_IT_number 1
loop_
_space_group_symop_operation_xyz
'x,y,z'
loop_
_atom_site_label
_atom_site_fract_x
_atom_site_fract_y
_atom_site_fract_z
O1 0.382 0.177 0.510
O2 0.394 0.513 0.178
O3 0.612 0.149 0.157
O4 0.651 0.479 0.812
O5 0.106 0.654 0.656
O6 0.849 0.688 0.021
O7 0.106 0.322 0.987
O8 0.118 0.990 0.323
O9 0.888 0.018 0.676
O10 0.394 0.844 0.846
O11 0.888 0.343 0.351
O12 0.612 0.823 0.482
Co1 0.750 0.750 0.750
Co2 0.250 0.583 0.917
Co3 0.250 0.250 0.250
Co4 0.750 0.083 0.417
Co5 0.750 0.417 0.083
Co6 0.250 0.916 0.584
Li1 0.991 0.334 0.667
Li2 0.509 0.833 0.166

=====

[4]
# MgMn6O6F6 (PBE with a Hubbard U, optimized geometry)
# Energy relative to the lowest polymorph listed for this composition   79 meV per atom
# Total magnetic moment   26.00 μB per cell
# Total DFT energy (no corrections)   -126.1 eV for the cell shown
# DFT formation energy   -2.382 eV/atom
# Mass density   4.03 g/cm3
data_MgMn6O6F6
_cell_length_a 5.082
_cell_length_b 4.919
_cell_length_c 9.297
_cell_angle_alpha 89.08
_cell_angle_beta 92.85
_cell_angle_gamma 90.45
_space_group_name_H-M_alt 'P 1'
_space_group_IT_number 1
loop_
_space_group_symop_operation_xyz
'x,y,z'
loop_
_atom_site_label
_atom_site_fract_x
_atom_site_fract_y
_atom_site_fract_z
Mn1 0.469 0.526 0.493
Mn2 0.544 0.462 0.177
Mn3 0.973 0.927 0.995
Mn4 0.063 0.009 0.654
'''
### Activity
It remains to work out how many lines above have the word "loop_" in them; a number is enough.
### Reply
8